26 May 2006

How Sausage Is Made

(Attached: materials data)
1.
Compound: Na2PSe3
Source: the Materials Project database
Functional: meta-GGA r2SCAN
Structure: optimized geometry

Output
* DFT formation energy: -0.85 eV per atom

Cell lengths 8.8876, 8.8876, 8.0217 Å; angles 90.00, 90.00, 96.67 degrees
Last column: nearest neighbours and their distance in Å.
Element x y z (fractional)
Na: 0.1847 0.8153 0.8435  6 Se 3.10-3.19, 1 P 3.25
Na: 0.2222 0.2778 0.7500  6 Se 3.03-3.18
Na: 0.2778 0.2222 0.2500  6 Se 3.03-3.18
Na: 0.3153 0.6847 0.3435  6 Se 3.10-3.19, 1 P 3.25
Na: 0.6847 0.3153 0.6565  6 Se 3.10-3.19, 1 P 3.25
Na: 0.7222 0.7778 0.7500  6 Se 3.03-3.18
Na: 0.7778 0.7222 0.2500  6 Se 3.03-3.18
Na: 0.8153 0.1847 0.1565  6 Se 3.10-3.19, 1 P 3.25
P: 0.0782 0.9218 0.4462  3 Se 2.18-2.19, 1 P 2.25
P: 0.4218 0.5782 0.9462  3 Se 2.18-2.19, 1 P 2.25
P: 0.5782 0.4218 0.0538  3 Se 2.18-2.19, 1 P 2.25
P: 0.9218 0.0782 0.5538  3 Se 2.18-2.19, 1 P 2.25
Se: 0.0006 0.6931 0.5334  1 P 2.18
Se: 0.0532 0.9468 0.1764  1 P 2.19
Se: 0.1931 0.5006 0.0334  1 P 2.18
Se: 0.3069 0.9994 0.5334  1 P 2.18
Se: 0.4468 0.5532 0.6764  1 P 2.19
Se: 0.4994 0.8069 0.0334  1 P 2.18
Se: 0.5006 0.1931 0.9666  1 P 2.18
Se: 0.5532 0.4468 0.3236  1 P 2.19
Se: 0.6931 0.0006 0.4666  1 P 2.18
Se: 0.8069 0.4994 0.9666  1 P 2.18
Se: 0.9468 0.0532 0.8236  1 P 2.19
Se: 0.9994 0.3069 0.4666  1 P 2.18

---

2.
Compound: Na4Sr2SiP4
Source: the Materials Project database
Functional: meta-GGA r2SCAN
Structure: optimized geometry

Output
* DFT formation energy: -0.80 eV per atom

Cell lengths 9.2533, 9.2533, 7.2858 Å; angles 90.27, 90.27, 119.98 degrees
Last column: nearest neighbours and their distance in Å.
Element x y z (fractional)
Na: 0.0711 0.9289 0.5000  4 P 2.89-3.09
Na: 0.3207 0.8485 0.1972  5 P 3.06-3.20, 1 Si 3.18, 2 Na 3.24-3.26
Na: 0.5075 0.6602 0.0305  4 P 2.89-3.04
Na: 0.6553 0.9450 0.5207  4 P 2.91-3.08
Na: 0.6602 0.5075 0.5305  4 P 2.89-3.04
Na: 0.8485 0.3207 0.6972  5 P 3.06-3.20, 1 Si 3.18, 2 Na 3.24-3.26
Na: 0.9289 0.0711 0.0000  4 P 2.89-3.09
Na: 0.9450 0.6553 0.0207  4 P 2.91-3.08
Sr: 0.2620 0.3150 0.6931  6 P 3.04-3.37, 1 Si 3.22, 1 Na 3.39
Sr: 0.2642 0.7426 0.6943  5 P 3.04-3.18, 1 Si 3.22, 2 Na 3.35-3.39
Sr: 0.3150 0.2620 0.1931  6 P 3.04-3.37, 1 Si 3.22, 1 Na 3.39
Sr: 0.7426 0.2642 0.1943  5 P 3.04-3.18, 1 Si 3.22, 2 Na 3.35-3.39
Si: 0.1310 0.4660 0.3088  4 P 2.27-2.34
Si: 0.4660 0.1310 0.8088  4 P 2.27-2.34
P: 0.1299 0.4561 0.9927  1 Si 2.30
P: 0.1870 0.9895 0.9003  1 Si 2.34
P: 0.4023 0.5964 0.4121  1 Si 2.30
P: 0.4561 0.1299 0.4927  1 Si 2.30
P: 0.5928 0.9887 0.9055  1 Si 2.27
P: 0.5964 0.4023 0.9121  1 Si 2.30
P: 0.9895 0.1870 0.4003  1 Si 2.34
P: 0.9887 0.5928 0.4055  1 Si 2.27

---

3.
Compound: Na5SrTaP4
Source: the Materials Project database
Functional: meta-GGA r2SCAN
Structure: optimized geometry

Output
* DFT formation energy: -0.77 eV per atom

Cell lengths 9.2755, 9.2755, 7.3480 Å; angles 90.06, 90.06, 119.89 degrees
Last column: nearest neighbours and their distance in Å.
Element x y z (fractional)

The Philosophical Gourmet recently sent around its draft list of faculties for its 2006 rankings.

These lists will then be shown to professors who will be asked to rank "faculty as a whole", and in some cases faculty by area of expertise, according to the following scale:

5 - Distinguished
4 - Strong
3 - Good
2 - Adequate
1 - Marginal
0 - Inadequate for a PhD program

On the PGR website, I looked under the section "Methods and Criteria", to find the criteria by which these numbers are to be assigned, and yet I couldn't find any. It's not even clear whether 'distinguished' means in fact or by reputation. (Elsewhere on the site the surveys are referred to as 'reputational surveys', so you draw your own conclusion. Presumably, also, being merely 'good' is by reputation only.)

The evaluators in ancient philosophy for 2004-6 are apparently (or at least they are so identified):
Julia Annas
Sarah Broadie
Dan Devereux
Brad Inwood
Lindsay Judson
M.M. McCabe
Stephen Menn
David Reeve
Chris Shields
Gisela Striker
Given that so many students in philosophy consult the Leiter rankings, I wonder if these scholars, and the other evaluators, would be willing to publish the reasons for their rankings, for instance, declaring the books and papers which they have studied with sufficient care, which were written by the professors of the 50+ faculties they are asked to evaluate, and then the reasons why the work of one scholar is better (generally?) than that of another. (Of course we acknowledge that that sort of judgment is only one factor contributing to their judgment on the faculty 'as a whole'.)

The section on 'methods and criteria' contains, at the end, this passing acknowledgment of the importance of independence:
The school from which the evaluator received the PhD (or equivalent) is listed in parentheses. Note that faculty were not permitted to evaluate their own department or the department from which they had received their PhD.
Thus it is recognized that the evaluators must be independent. But it seems unreasonable to hold that 'independence would appear to be impaired' (the term of art in the code of professional conduct for accountants) only through these two associations. Wouldn't other such things as collaboration, friendship, prior assistence given or taken, etc. also 'appear to impair independence'--even more so?

One might object that no judgment could be thus independent. Not so. But, in any case, that sort of independence is what we should look for in a judgment we expect to be accepted simply on authority, when the grounds for the judgment are not publicly supplied or defended.